News - McHenry County

McHenry County projects up to $22 million in lost revenue for fiscal 2020 because COVID-19 shutdowns

New report shows potential impact of reduced property, sales and income tax revenue on county

McHenry County Board chairman Jack Franks reads from a prepared statement Feb. 13 during a Committee of the Whole meeting by the McHenry County Board at the McHenry County Administration Building in Woodstock.

McHenry County is projected to see upwards of $22 million in lost revenue for fiscal 2020 because of COVID-19-related shutdowns, according to a May 5 report from the county’s Director of Finance Kevin Bueso.

The report gives projections based on four different COVID-19 recovery scenarios which range from $6.9 million in revenue losses up to $22.1 million.

These projections are based off of the impact that COVID-19 shutdowns have had – and will continue to have – on property taxes, motor fuel taxes, sales taxes, income taxes and other economically sensitive revenue items that the county depends on.

........
Computed, not measured: C4H4AuO5 as an isolated structure, with wB97M-V/def2-TZVPD.

The geometry in ORCA input format:
```
! wB97M-V def2-TZVPD RIJCOSX def2/J DEFGRID3
* xyz 2 4
O -0.689 -0.632 -0.183
C -1.444 -1.686 -0.743
O -0.741 -2.742 -0.622
O -2.516 -1.470 -1.247
C -1.028 0.746 -0.416
C -0.094 1.595 0.356
H -2.076 0.863 -0.094
H -0.976 0.957 -1.492
H 0.503 2.340 -0.170
H -0.194 1.650 1.441
O 3.674 0.863 1.001
O 1.976 -0.700 0.967
C 2.927 -0.004 0.937
Au 0.677 -1.778 0.265
*
```

**HOMO (spin up / spin down)**: -17.90 / -21.19 eV
**<S²>**: 3.781
**HOMO-LUMO gap (spin up / spin down)**: 0.3355 / 0.2178 hartree
**Total energy**: -665.65300 Ha
**ΔE to the lowest compared entry with this formula, charge and spin**: 0.0 kcal per mole



Computed, not measured: C55H45MgOP3Si as an isolated structure, with wB97M-V/def2-TZVPD.

The geometry in ORCA input format:
```
! wB97M-V def2-TZVPD RIJCOSX def2/J DEFGRID3
* xyz 0 1
Mg 0.737 -0.175 -0.431
C -2.537 5.360 2.233
C -2.394 5.343 0.857
C -1.824 4.251 0.230
C -1.440 3.128 0.966
C -1.594 3.156 2.347
C -2.114 4.274 2.977
P -0.872 1.594 0.119
C -0.375 2.399 -1.455
C -1.184 2.516 -2.578
C -0.734 3.197 -3.695
C 0.538 3.740 -3.713
C 1.357 3.620 -2.600
C 0.896 2.970 -1.473
C -2.447 0.797 -0.294
C -3.548 1.621 -0.548
C -4.771 1.100 -0.910
C -4.912 -0.277 -1.026
C -3.832 -1.087 -0.754
C -2.568 -0.602 -0.381
Si -1.515 -2.049 0.350
C -1.742 -3.094 -1.278
C -2.481 -4.270 -1.315
C -2.817 -4.885 -2.509
C -2.397 -4.343 -3.714
C -1.629 -3.194 -3.709
C -1.308 -2.579 -2.500
P -0.377 -1.022 -2.549
C -1.213 -0.246 -3.983
C -0.546 0.241 -5.101
C -1.249 0.863 -6.118
C -2.623 1.008 -6.032
C -3.300 0.489 -4.940
C -2.600 -0.130 -3.922
C 1.229 -1.425 -3.301
C 1.671 -2.684 -3.681
C 2.948 -2.835 -4.197
C 3.785 -1.742 -4.334
C 3.352 -0.484 -3.942
C 2.081 -0.329 -3.427
C 0.403 -2.151 0.420
C 1.264 -3.057 -0.191
C 2.528 -3.286 0.332
C 2.971 -2.552 1.420
C 2.137 -1.628 2.033
C 0.841 -1.475 1.566
P -0.571 -0.637 2.370
C -0.874 -1.845 3.722
C 0.102 -2.139 4.669
C -0.144 -3.062 5.668
C -1.375 -3.692 5.743
C -2.361 -3.388 4.819
C -2.113 -2.469 3.817
C 0.398 0.595 3.365
C 1.417 1.326 2.751
C 2.022 2.381 3.409
C 1.605 2.745 4.679
C 0.566 2.053 5.284
C -0.040 0.998 4.628
H -2.985 6.213 2.718
H -2.729 6.183 0.265
H -1.694 4.281 -0.842
H -1.307 2.301 2.938
H -2.195 4.296 4.054
H -2.178 2.094 -2.573
H -1.390 3.310 -4.546
H 0.883 4.267 -4.587
H 2.347 4.050 -2.612
H 1.504 2.913 -0.580
H -3.446 2.691 -0.443
H -5.609 1.757 -1.085
H -5.859 -0.710 -1.322
H -3.959 -2.158 -0.825
H -2.821 -4.696 -0.381
H -3.419 -5.783 -2.510
H -2.669 -4.802 -4.654
H -1.287 -2.760 -4.642
H 0.524 0.124 -5.187
H -0.714 1.242 -6.977
H -3.166 1.515 -6.816
H -4.376 0.570 -4.874
H -3.127 -0.534 -3.068
H 1.026 -3.546 -3.582
H 3.298 -3.816 -4.484
H 4.770 -1.862 -4.760
H 4.009 0.370 -4.021
H 1.727 0.645 -3.114
H 0.921 -3.634 -1.042
H 3.171 -4.039 -0.105
H 3.964 -2.716 1.813
H 2.504 -1.067 2.881
H 1.059 -1.638 4.635
H 0.628 -3.293 6.390
H -1.565 -4.417 6.521
........

Currently, 66% of the county's revenue comes from 20 sources, which are sensitive to disruptions in economic activity, such as a global pandemic, according to the report.

Revenue projections are divided into the best- and worst-case scenarios of two COVID-19 recovery types: a "prolonged V-shape recovery and a W-shape recovery."

The recovery models were named for the shapes made by mapping out different projections of economic activity for the rest of the fiscal year. The two models have one key difference – one shows that economic activity will be down for the next few months before recovering slowly and the other shows that it will recover and then dip again later in the year.

District 5 County Board Member Michael Skala, R-Huntley, said he had a number of concerns with the information used in Bueso’s projections.

"I felt that the numbers were greatly distorted," Skala said.

The report projects a 12% reduction in property tax revenue for 2020 in three of the four recovery scenarios outlined, resulting in $8 million in projected losses.

As head of the county's Finance Committee, Skala said he believes the reduction in this year's property tax revenue will be much less drastic than that.

In April, the board passed an ordinance waiving late fees and interest for the first installment of this year’s property taxes. Given that 67% of the county pays their property taxes monthly through escrow accounts, the ordinance only applies to 33% of county residents, Skala said.

"With the amount that [Bueso] is projecting, he's basically saying a huge portion of that 30% is not going to be paid," he said. "He's also making the assumption that none of those property taxes are going to be paid within the 60-day window of accruing back those dollars into this fiscal year which, again, I think is a huge fallacy."

Regardless of actual revenue lost for fiscal 2020, McHenry County Board Chairman Jack Franks said the economic effects of COVID-19 shutdowns will be felt throughout the county for years to come.

"We've been catapulted into the worst economic situation since the Great Depression," Franks said. "Only about half of working-age adults are actually working."

According to Bueso's report, the best-case scenario for the preferred recovery type, "the prolonged V-shape", accounts for the stay-at-home order to remain in place through the end of June followed by a five month period of getting "back to the new normal."

In this scenario, disruptions to property taxes are minimal (2% reduction) and economic activity remains at 60% of the county's average for April, May and June before climbing to 75% in July, 85% in August and 99% for September-November.

This, the absolute best-case scenario outlined in the report, would result in $6.9 million in lost revenue for the county.

In the worst case V-shape recovery scenario, economic activity sits at 40% from April to June before recovering slowly and tapering off at 90% at the end of the year.

This would cause the local unemployment rate to exceed 15% of the population, putting a greater strain on revenue sources. Even with the 10% increase in federal stimulus funds projected in this scenario, the county would be down $18.5 million.

In the best case W-shape recovery type, economic activity falls to 40% April-June, begins to recover in July (75%) and August (95%) but then falls back to 40% in September because of a second round of shutdowns that could occur if the virus becomes widespread in the Fall.

This projection forecasts that economic activity would pick back up in October (75%) and November (85%) and predicts that the county would see a 15% increase in stimulus funds and grants from the federal government.

Even with this extra help, this scenario anticipates $20.2 million in revenue losses.

The worst case W-shape scenario is nearly identical to the best case scenario but forecasts that economic activity would remain at 40% for the months of September and October before climbing to 85% in November. This is projected to result in a 25% increase in federal funding to the county and $22.1 million in lost revenue.

Skala pointed out that, after property taxes, the report's next two budget lines projected to be hit hard by the pandemic – the Motor Fuel Tax and the county's portion of Regional Transportation Authority sales tax – are used to fund county road projects and do not support operational costs.

"So we may need to delay road projects but it's not like it's impacting the day-to-day operations of the county," he said. "When you take those things out of [the report], that number decreases greatly."

Skala said he has asked members of the finance committee to recreate the report with what he feels would be "more accurate data." He said the report should also account for the areas in which the county has saved money over the last few months such as building closures and having employees work from home.

Bueso's report lists employees working from home as an expenditure, stating that the county spent more than $320,000 this year on COVID-19-related purchases including software licenses so that employees could work remotely.

According to the report, there is "an expectation" that the rest of the year will look more like the prolonged V-shape recovery models, but Franks said the County Board must be prepared for any outcome. This means trimming the county's operational budget wherever possible, he said.

As part of this effort, Franks announced a proposal on Monday to reduce the salaries of county elected officials by 10%.

"Government is not immune to the economic realities that our citizens face," he said.

Franks said he has been working with congressional representatives to secure more federal stimulus money for the county.

“I think we’re going to see another stimulus plan that will help our counties because of our reduced revenues,” he said on Monday. “So we’ll see where that goes.”

Kelli Duncan

Kelli Duncan

Kelli Duncan is a reporter for the Northwest Herald covering county government as well as the communities of Huntley, Lake in the Hills, Marengo and Harvard. She has previously covered local politics, immigration and feature stories.